HOMEPublic TransportationURBANNorman
Contact Transit Programs

### Inserted here: calculated crystals
........
1.
RbPrCrO4: simulated powder diffraction line list (a wavelength of 1.5418 Å), based on a PBE+U-relaxed structure.

Atomic structure:
```
14
Lattice="6.0429 0.0000 0.0000 0.0000 5.9885 0.0000 -2.3050 0.0000 7.4152" Properties=species:S:1:pos:R:3 pbc="T T T"
Rb 0.1778 1.4971 3.1652
Rb 3.5601 4.4914 4.2500
Pr -0.4250 1.4971 7.0779
Pr 4.1629 4.4914 0.3373
Cr 1.1064 4.4914 1.2445
Cr 2.6315 1.4971 6.1707
O -0.3536 4.4914 2.2558
O -1.8287 4.4914 7.0017
O 2.3318 3.1303 1.3389
O 2.3318 5.8524 1.3389
O 1.4061 0.1361 6.0763
O 1.4061 2.8582 6.0763
O 5.5666 1.4971 0.4135
O 4.0915 1.4971 5.1594
```

Principal peaks in the range 15° ≤ 2θ ≤ 90°, by intensity:
- d 4.155, 2θ 21.38, intensity 100
- d 2.994, 2θ 29.84, intensity 81
- d 3.152, 2θ 28.31, intensity 69
- d 3.117, 2θ 28.64, intensity 66
- d 2.513, 2θ 35.74, intensity 55
- d 2.459, 2θ 36.54, intensity 54
- d 2.688, 2θ 33.34, intensity 43
- d 2.078, 2θ 43.56, intensity 41
- d 4.013, 2θ 22.15, intensity 35
- d 1.629, 2θ 56.50, intensity 32
- d 2.885, 2θ 30.99, intensity 31
- d 2.329, 2θ 38.65, intensity 27

=====

2.
Pr2CrSiO6: simulated powder diffraction line list (a wavelength of 1.5418 Å), based on a PBE+U-relaxed structure.

Atomic structure:
```
10
Lattice="5.2522 0.0000 0.0000 0.0000 5.2522 0.0000 0.0000 0.0000 4.6488" Properties=species:S:1:pos:R:3 pbc="T T T"
Pr 0.0000 2.6261 0.0000
Pr 2.6261 0.0000 0.0000
Cr 0.0000 0.0000 2.6392
Si 2.6261 2.6261 2.5998
O 0.0000 0.0000 0.4668
O 1.4325 1.4325 3.0817
O 1.4325 3.8197 3.0817
O 2.6261 2.6261 0.9152
O 3.8197 1.4325 3.0817
O 3.8197 3.8197 3.0817
```

Principal peaks in the range 15° ≤ 2θ ≤ 90°, by intensity:
- d 2.902, 2θ 30.82, intensity 100
- d 2.626, 2θ 34.14, intensity 37
- d 1.564, 2θ 59.06, intensity 31
- d 2.286, 2θ 39.41, intensity 30
- d 4.649, 2θ 19.09, intensity 28
- d 1.741, 2θ 52.58, intensity 24
- d 1.857, 2θ 49.06, intensity 23
- d 3.714, 2θ 23.96, intensity 21
- d 1.970, 2θ 46.07, intensity 18
- d 2.324, 2θ 38.74, intensity 13
- d 1.451, 2θ 64.20, intensity 11
- d 1.430, 2θ 65.24, intensity 11

=====

3.
PrSmCr2O8: simulated powder diffraction line list (a wavelength of 1.5418 Å), based on a PBE+U-relaxed structure.

Atomic structure:
```
12
Lattice="-3.7088 3.7088 3.2166 3.7088 -3.7088 3.2166 3.7088 3.7088 -3.2166" Properties=species:S:1:pos:R:3 pbc="T T T"
Pr 0.0000 0.0000 0.0000
Sm 0.0000 3.7088 1.6083
Cr 3.7088 0.0000 1.6083
Cr 0.0000 0.0000 3.2166
O 2.3830 0.0000 0.5065
O 5.0346 0.0000 0.5065
O 3.7088 2.3561 -1.0755
O 3.7088 -1.3258 2.7101
O 0.0000 1.3528 2.1412
O 3.7088 1.3258 2.7101
O 2.3561 3.7088 1.0755
O 1.3528 0.0000 4.2921
```

Principal peaks in the range 15° ≤ 2θ ≤ 90°, by intensity:
- d 3.709, 2θ 23.99, intensity 100
- d 2.742, 2θ 32.66, intensity 68
- d 1.895, 2θ 48.00, intensity 57
- d 4.860, 2θ 18.25, intensity 29
- d 2.623, 2θ 34.19, intensity 22
- d 1.536, 2θ 60.25, intensity 17
- d 1.854, 2θ 49.13, intensity 15
- d 1.326, 2θ 71.13, intensity 14
- d 1.659, 2θ 55.39, intensity 13
- d 2.308, 2θ 39.03, intensity 13
........

Cleveland Areat Rapid Transit (CART)

Serving The University of Oklahoma and City of Norman

510 E. Chesapeake
Norman, OK 73019-5128
Voice: (405) 325-CART(2278)
E-mail: rideCART@ou.edu
Website: http://rideCART.com
Download "CART Norman" app
Follow @CARTNorman or CART on Facebook


Serving Norman, Okla., since 1980, Cleveland Area Rapid Transit (CART) transports more than 1 million passengers annually on its fixed-route bus system. CART buses run seven Norman city routes and three University of Oklahoma campus routes on weekdays and most Saturdays. CART also operates a commuter route, the Sooner Express, to Oklahoma City on weekdays. CART operates a paratransit service, CARTaccess, for the elderly, disabled, and those unable to ride the fixed-route bus system.

For a full list of routes, schedules, and other information, visit the website rideCART.com.

/*
Starting from a PBE-relaxed structure, the powder diffraction line list of Li2PmTcN4 was simulated for Cu Kα, 1.54184 Å.
Lines closer than 0.1° are merged.

Main lines, low angle first (10° ≤ 2θ ≤ 80°):
2θ 23.2, rel. 661, (2 0 0); 2θ 24.4, rel. 1000, (0 1 1); 2θ 33.9, rel. 785, (2 1 1); 2θ 34.6, rel. 257, (0 2 0); 2θ 35.0, rel. 285, (0 0 2); 2θ 42.1, rel. 210, (2 2 0); 2θ 42.4, rel. 264, (2 0 2); 2θ 47.4, rel. 134, (4 0 0); 2θ 50.1, rel. 184, (0 2 2); 2θ 54.0, rel. 206, (4 1 1); 2θ 55.9, rel. 170, (2 2 2); 2θ 62.1, rel. 190, (2 1 3)

```
data_Li2PmTcN4
_space_group_name_H-M_alt 'P m n 21'
_space_group_IT_number 31
_cell_length_a 7.676
_cell_length_b 5.179
_cell_length_c 5.128
_cell_angle_alpha 90.00
_cell_angle_beta 90.00
_cell_angle_gamma 90.00
loop_
_space_group_symop_operation_xyz
'x,y,z'
'-x+1/2,-y,z+1/2'
'-x,y,z'
'x+1/2,-y,z+1/2'
loop_
_atom_site_label
_atom_site_fract_x
_atom_site_fract_y
_atom_site_fract_z
_atom_site_occupancy
Li1 0.248 0.213 0.000 1
Pm1 0.000 0.226 0.495 1
Tc1 0.000 0.693 0.015 1
N1 0.000 0.346 0.953 1
N2 0.000 0.722 0.371 1
N3 0.198 0.837 0.885 1
```

---

Starting from a PBE-relaxed structure, the powder diffraction line list of PmPrIr was simulated for Cu Kα, 1.54184 Å.
Lines closer than 0.1° are merged.

Main lines, low angle first (10° ≤ 2θ ≤ 80°):
2θ 17.5, rel. 483, (1 0 -1); 2θ 23.3, rel. 515, (0 1 1); 2θ 23.8, rel. 276, (1 0 1); 2θ 32.1, rel. 515, (0 1 2); 2θ 32.5, rel. 1000, (1 1 -2); 2θ 33.6, rel. 580, (2 0 0); 2θ 39.6, rel. 503, (0 2 0); 2θ 40.0, rel. 671, (1 1 2); 2θ 40.8, rel. 411, (2 1 -2); 2θ 49.3, rel. 216, (1 0 -4); 2θ 52.9, rel. 334, (2 2 0); 2θ 65.0, rel. 189, (1 2 -4)

```
data_PmPrIr
_space_group_name_H-M_alt 'P 1 21/m 1'
_space_group_IT_number 11
_cell_length_a 5.597
_cell_length_b 4.554
_cell_length_c 7.392
_cell_angle_alpha 90.00
_cell_angle_beta 107.77
_cell_angle_gamma 90.00
loop_
_space_group_symop_operation_xyz
'x,y,z'
'-x,-y,-z'
'-x,y+1/2,-z'
'x,-y+1/2,z'
loop_
_atom_site_label
_atom_site_fract_x
_atom_site_fract_y
_atom_site_fract_z
_atom_site_occupancy
Pm1 0.246 0.250 0.442 1
Pr1 0.240 0.250 0.951 1
Ir1 0.312 0.750 0.223 1
```

---

Starting from a PBE-relaxed structure, the powder diffraction line list of Dy5PtPb4 was simulated for Cu Kα, 1.54184 Å.
Lines closer than 0.1° are merged.

Main lines, low angle first (10° ≤ 2θ ≤ 80°):
2θ 28.6, rel. 464, (0 0 2); 2θ 29.1, rel. 1000, (3 1 0); 2θ 39.0, rel. 74, (2 2 2); 2θ 41.2, rel. 701, (3 1 2); 2θ 41.6, rel. 347, (2 4 0); 2θ 51.2, rel. 323, (2 4 2); 2θ 60.2, rel. 105, (6 2 0); 2θ 67.2, rel. 129, (3 1 4); 2θ 68.0, rel. 117, (6 2 2); 2θ 68.3, rel. 125, (1 7 0); 2θ 74.9, rel. 96, (2 4 4); 2θ 75.6, rel. 148, (1 7 2)

```
data_Dy5PtPb4
_space_group_name_H-M_alt 'I 4'
_space_group_IT_number 79
_cell_length_a 9.716
_cell_length_b 9.716
_cell_length_c 6.250
_cell_angle_alpha 90.00
_cell_angle_beta 90.00
_cell_angle_gamma 90.00
loop_
_space_group_symop_operation_xyz
'x,y,z'
'-y,x,z'
'-x,-y,z'
'y,-x,z'
'x+1/2,y+1/2,z+1/2'
'-y+1/2,x+1/2,z+1/2'
*/


CART Fixed Route

**These materials data were left in the text by mistake**
=====
The following is a theoretical XRD peak list of Fe2Ir2O5. It was derived from a structure optimized by DFT (PBE+U), using Cu Ka.
Neutral-atom scattering factors, no anomalous dispersion.

Peak list (6 most intense, 2θ from 10° to 90°, low angle first)
2θ/deg, d [Å], intensity, hkl
25.73, 3.463, 24, 1 0 0
33.41, 2.682, 100, 1 0 2
36.70, 2.449, 34, 1 1 0
42.65, 2.120, 31, 0 0 4
57.51, 1.603, 35, 1 1 4
64.01, 1.455, 31, 2 1 2

Structure:
```
data_Fe2Ir2O5
_chemical_formula_sum 'Fe2 Ir2 O5'
_cell_length_a 3.4627
_cell_length_b 3.4627
_cell_length_c 8.4785
_cell_angle_alpha 90.00
_cell_angle_beta 90.00
_cell_angle_gamma 90.00
_space_group_name_H-M_alt 'P 4/m m m'
_space_group_IT_number 123
_space_group_name_Hall '-P 4 2'
loop_
_atom_site_label
_atom_site_type_symbol
_atom_site_fract_x
_atom_site_fract_y
_atom_site_fract_z
Fe1 Fe 0.0000 0.0000 0.2297
Ir1 Ir 0.5000 0.5000 0.0000
Ir2 Ir 0.5000 0.5000 0.5000
O1 O 0.0000 0.0000 0.0000
O2 O 0.0000 0.5000 0.3584
```

----------

(1)
This entry pairs a crystal structure of Ag25Bi3O18 with its simulated X-ray powder pattern. Radiation: a wavelength of 1.5418 Å. Structure: a crystal structure in OQMD, relaxed with PBE.
Intensities are scaled so that the largest is 100.

Crystal structure
```
Ag25Bi3O18
1.0
11.6610 0.0000 0.0000
-5.8305 10.0987 0.0000
0.0000 0.0000 6.2639
Ag Bi O
25 3 18
Direct
0.0000 0.0000 0.0000
0.0000 0.5000 0.0000
0.0000 0.5000 0.5000
0.0185 0.2700 0.1581
0.0490 0.7422 0.3314
0.2344 0.4842 0.7476
0.2498 0.7656 0.7476
0.2514 0.9815 0.1581
0.2578 0.3068 0.3314
0.2700 0.2514 0.8419
0.3068 0.0490 0.6686
0.4842 0.2498 0.2524
0.5000 0.0000 0.0000
0.5000 0.0000 0.5000
0.5000 0.5000 0.0000
0.5000 0.5000 0.5000
0.5158 0.7502 0.7476
0.6932 0.9510 0.3314
0.7300 0.7486 0.1581
0.7422 0.6932 0.6686
0.7486 0.0185 0.8419
0.7502 0.2344 0.2524
0.7656 0.5158 0.2524
0.9510 0.2578 0.6686
0.9815 0.7300 0.8419
0.0000 0.0000 0.5000
0.3333 0.6667 0.2294
0.6667 0.3333 0.7706
0.0763 0.1731 0.7070
0.0968 0.9237 0.7070
0.1591 0.4680 0.0608
0.1731 0.0968 0.2930
0.1831 0.6747 0.4445
0.3089 0.8409 0.0608
0.3253 0.5084 0.4445
0.4680 0.3089 0.9392
0.4916 0.8169 0.4445
0.5084 0.1831 0.5555
0.5320 0.6911 0.0608
0.6747 0.4916 0.5555
0.6911 0.1591 0.9392
0.8169 0.3253 0.5555
0.8269 0.9032 0.7070
0.8409 0.5320 0.9392
0.9032 0.0763 0.2930
0.9237 0.8269 0.2930
```

Main lines, low angle first (2θ = 5–70°):
- 2θ = 26.5°, I 22
- 2θ = 27.4°, I 37
- 2θ = 32.5°, I 36
- 2θ = 33.7°, I 100
- 2θ = 35.1°, I 78
- 2θ = 35.6°, I 92
- 2θ = 37.1°, I 21
- 2θ = 42.4°, I 17
- 2θ = 48.9°, I 16
- 2θ = 54.8°, I 20
- 2θ = 56.5°, I 39
- 2θ = 63.9°, I 17

=====

(2)
This entry pairs a crystal structure of Ag4Bi2O5 with its simulated X-ray powder pattern. Radiation: a wavelength of 1.5418 Å. Structure: a crystal structure in OQMD, relaxed with PBE.
Intensities are scaled so that the largest is 100.

Crystal structure
```
Ag4Bi2O5
1.0
14.3927 0.0000 0.0000
0.0000 5.7132 0.0000
0.0000 0.0000 8.7000
Ag Bi O
16 8 20
Direct
0.0804 0.0082 0.1367
=====

Norman single trip is 75 cents.
Sooner Express single trip is $3.
Children (under age 6) are free.
CARTaccess passengers with ADA card ride free.
OU faculty/staff/students ride free.*
Norman Monthly Unlimited is $25.
Sooner Express Monthly Unlimited is $50.

Reduced fares are available for single trips at 35 cents ($1.50 for Sooner Express) and the Norman monthly at $12.50 ($25 for Sooner Express monthly) for seniors 60 and older, persons with disabilities, Medicare cardholders, and youth ages 6 to 17.


Primary Zone single trip is $1.50
Secondary Zone single trip is $3.50
Same-Day urgent single trip is $3.50
CARTaccess Pass is $15.
OU faculty/staff/students ride free in Primary Zone and $1.50 in Secondary Zone.*

*OU contributes funding to CART to subsidize fares for faculty, staff, and students traveling in Norman, However, the Sooner Express is NOT free. Students must show student ID with current validation sticker (available at Sooner Card and Parking Services offices). LNC Shuttle Route 40 and Campus Corner Shuttle Route 45 are free to all passengers.

**Bus Fare assistance is available through Community Development Block Grant passes to persons with low to moderate income for all CART services except the Sooner Express. Applications are available at the CART office or online at rideCART.com. This program is funded by the City of Norman.

How Do I Buy CART Passes?

Riders can pay single-trip fare on the bus itself with exact change. Passes can be purchased at OU Parking Services, 1107 Elm Ave. in Norman, from 8 a.m. to 5 p.m. Monday through Friday.

To learn more about CART and view bus schedules and routes, visit rideCART.com or call (405) 325- 2278. Also, download CART’s app, now available on the Apple App Store and Google Play Store by searching “CART Norman”. To learn more about carpooling or to be matched with someone in your area, visit www.getaroundok.com.

Please be sure to check CART’s website (rideCART.com) for the most updated or additional information.

HOMEPublic TransportationURBANNorman